chapter 35

830 44 13

Third Person P.o.v.

The fight between the ex-lovers were done, Levi ended up ordering food from the restaurant which made everyone's tummy satisfied.

The girls from 1st class has done their best to comfort their crying friend in the guest room.

## Data records, kept here for reference
........
Record 1
7
Properties=species:S:1:pos:R:3:mulliken_spin:R:1 method="wB97M-V/def2-TZVPD" homo_energy_ev="-6.954 / -10.311" s2=2.0067 orbital_gap_ev="7.7 / 7.4" spin_multiplicity=3 lumo_energy_ev="0.78 / -2.87"
C 1.64 -0.61 0.19 0.862
P 0.27 0.25 0.62 0.972
Cl -3.69 0.66 -0.11 0.008
Cl 0.56 2.06 -0.30 0.110
H 2.37 -0.30 -0.62 0.024
H 1.82 -1.67 0.42 0.024
H -2.96 -0.39 -0.20 0.001

Record 2
7
Properties=species:S:1:pos:R:3:mulliken_charge:R:1 method="wB97M-V/def2-TZVPD" homo_energy_ev=-10.500 orbital_gap_ev=9.5 lumo_energy_ev=-1.04
C -0.71 -0.19 0.13 -0.349
H -1.00 0.37 1.03 0.222
H -1.52 -0.87 -0.15 0.252
H 0.19 -0.77 0.35 0.213
F 1.80 1.17 0.00 -0.164
F -0.46 0.69 -0.90 -0.263
Cl 1.71 -0.41 -0.46 0.090

Computed energy relative to the best compared isomer or geometry (same formula, charge and spin), in the same sequence as the records: 150.2, 390.4 kJ/mol.


[1]
Formula: C26H40O3
Source: OMol25
Level of theory: ωB97M-V/def2-TZVPD

The calculation puts the relative energy (zero: lowest compared OMol25 entry of this formula, charge and spin) at 2.2 kcal per mole. The SMILES is CCCCCCC(=O)O[C@H]1CC[C@H]2[C@@H]3CCC4=CC(=O)CC[C@]4(C)[C@H]3CC[C@]12C. The HOMO energy comes out at -9.27 eV. The frontier orbital gap comes out at 9.883 eV.

```
! RIJCOSX wB97M-V def2-TZVPD def2/J DEFGRID3
* xyz 0 1
O 1.40219 -1.99910 1.14615
O -0.16807 -3.42735 0.41188
O -4.61090 4.41008 -3.96259
C 0.67461 -0.04940 -0.21556
C 0.07728 2.35384 -0.80232
C -0.51922 3.65813 -0.27393
C 0.62297 1.49943 1.63060
C -0.10270 0.51595 -2.53724
C 1.48588 -5.49867 1.70012
C -0.68543 1.84794 -2.04621
C -3.54650 3.92320 -3.64570
C 0.94666 -3.20919 0.80834
C -0.07977 -0.55454 -1.44209
C -3.11398 2.53781 -4.07180
C -1.36269 4.14859 -2.49247
C -2.59711 4.59082 -2.75795
C 2.02177 -4.25916 0.97754
C -0.75253 2.93812 -3.15672
C 0.50165 -0.89848 1.06078
C 0.00755 1.25334 0.25208
C 0.29365 -4.18857 5.17886
C -1.61959 2.52756 -4.36106
C 0.76330 0.08334 2.22045
C 1.41860 -5.32852 3.21742
C -0.60586 -3.03958 5.61751
C 0.47382 -4.21512 3.66267
C 2.16992 0.07804 -0.51656
C 0.63830 3.27403 -3.72015
C -0.56342 4.72801 -1.37172
H -1.05381 1.02424 0.41212
H 1.08217 -6.27265 3.65316
H -2.97382 5.47760 -2.26507
H 0.45075 4.97415 -1.68640
H 2.86991 -3.82468 1.50636
H -0.70566 0.13361 -3.36108
H 1.12410 2.53589 -1.05513
H 2.13299 -6.34820 1.47264
H -1.31824 1.54640 -4.72760
H -3.68412 2.23330 -4.95085
H -1.71787 1.66061 -1.72703
H 2.72251 0.38590 0.36517
H 1.27104 -4.08723 5.65697
H -0.49852 -4.35413 3.18488
H 2.42122 -5.12775 3.60422
H 0.48995 -5.71718 1.30980
H -0.17325 -2.08486 5.32487
H -1.58638 -3.12657 5.15443
H -1.42926 3.24456 -5.16431
H 0.59030 4.20451 -4.28274
H 0.96059 2.48780 -4.39866
H -1.03444 5.63453 -0.98994
H 2.34406 -4.54171 -0.02775
H -0.13921 -5.13554 5.50926
H 0.05260 -0.08427 3.02847
H 1.38972 3.38370 -2.94557
H 2.36310 0.78976 -1.31228
H 1.76362 -0.09403 2.61395
H 2.55481 -0.89059 -0.82893
H 0.07283 4.02061 0.56768
H -0.01107 2.12853 2.25300
H 1.59302 1.98728 1.53744
........

Muttering curses and threats to Bakugou behind his back, promising her to maybe kill him.

The ash blonde could only return to his dorm room and sulk once again after the 'fight'.

The black haired billionaire was more than relieved when she procceeded the 3 words. he could feel his heart sink from above to the stomach aggressively on that moment.

He adjusted his red tie before knocking on the guest room door, wanting to see how she is now.

"Brat." He called, the girls from the other side turned their heads to the door.

"It's shorty." Hange said, knowing his voice.

"Should we let him in, Y/n?" Asked Mikasa as she separated herself from the warm blanket they shared while watching a movie.

"Yeah, let him in." She agreed, voice a bit cracked from crying and pouring her emotions to the ash blonde and the girls.

• Unrelated to this page: data records:
- - -
# 1
The following is a quantum chemistry calculation of a 7-piece molecular cluster, C33H67N2O6 overall, from OMol25.

Geometry as XYZ:
```
108
Properties=species:S:1:pos:R:3:mulliken_charge:R:1
C 14.850 37.035 40.175 -1.105
N 14.810 38.037 39.012 0.478
C 14.006 39.188 39.248 -0.772
C 14.062 40.166 38.305 -0.363
C 15.110 40.172 37.288 0.909
C 16.072 39.116 37.340 -1.492
C 15.908 38.035 38.182 -0.356
C 15.232 41.242 36.282 0.859
C 13.971 41.845 35.842 0.240
C 14.025 42.806 34.848 -0.522
N 15.210 43.218 34.421 0.429
C 16.427 42.639 34.769 -0.381
C 16.443 41.719 35.728 -0.767
C 15.225 44.132 33.254 -1.222
H 14.690 36.117 40.093 0.543
H 14.116 37.273 41.032 0.105
H 15.915 37.131 40.709 0.305
H 13.072 39.209 39.806 0.493
H 13.264 40.938 38.206 0.100
H 16.803 39.113 36.668 0.565
H 16.658 37.227 38.070 0.299
H 12.943 41.668 36.382 -0.544
H 13.061 43.294 34.781 0.386
H 17.404 43.070 34.415 0.212
H 17.198 41.148 36.293 0.403
H 14.903 43.733 32.458 0.487
H 16.349 44.557 33.139 0.222
H 14.641 45.081 33.438 0.312
C 10.713 39.529 37.598 -2.707
O 10.999 39.915 38.931 -0.815
H 11.708 39.080 37.280 0.102
H 10.369 40.012 36.990 1.435
H 10.065 38.809 37.571 1.213
C 14.922 35.450 31.394 -0.986
C 13.473 35.370 32.168 -0.390
O 13.216 36.599 32.733 -0.193
C 12.018 36.706 33.411 -0.358
C 11.954 37.912 34.184 -0.756
H 15.519 34.523 31.296 0.339
H 15.526 36.106 32.210 0.237
H 14.673 35.864 30.431 0.284
H 13.739 34.734 32.985 0.330
H 12.642 34.818 31.498 0.267
H 12.211 35.967 34.329 0.169
H 11.215 36.647 32.804 0.401
H 12.158 38.815 33.373 0.215
H 12.686 38.146 34.903 0.310
H 11.069 38.030 34.760 0.079
C 7.991 39.935 41.267 -0.492
C 6.949 38.892 40.990 -0.400
O 6.275 38.571 42.277 -0.282
C 5.291 37.701 42.235 -0.296
C 4.677 37.434 43.508 -1.281
H 8.574 40.261 40.344 0.191
H 8.716 39.470 41.947 -0.098
H 7.674 40.879 41.948 0.275
H 7.499 37.995 40.634 0.181
H 6.324 39.035 40.184 0.547
H 5.590 36.808 41.841 0.376
H 4.469 38.044 41.550 0.282
H 4.033 36.636 43.329 0.397
H 4.108 38.334 43.852 0.259
H 5.502 37.180 44.125 0.341
C 13.104 38.491 44.009 -1.161
C 11.923 38.542 43.081 -0.615
O 12.032 37.265 42.326 -0.437
C 11.070 37.228 41.269 1.185
C 10.982 35.978 40.609 -2.194
H 14.209 38.611 43.629 0.193
H 12.910 37.507 44.518 0.259
H 13.016 39.443 44.531 0.396
H 11.989 39.454 42.451 0.161
H 11.080 38.638 43.446 1.011
H 11.223 37.956 40.558 -0.153
H 9.973 37.466 41.756 -0.217
H 10.975 35.157 41.276 0.521
H 11.803 35.712 40.235 0.679
H 10.139 35.852 39.946 0.350
C 6.333 36.905 33.017 -1.257
C 7.218 37.381 34.037 -0.232
O 7.763 38.572 33.528 -0.432
C 8.257 39.461 34.611 0.566
C 8.702 40.721 34.072 -1.329
H 5.448 37.608 33.028 0.244
H 5.982 35.813 33.258 0.315
H 6.700 36.865 32.102 0.413
H 7.959 36.647 34.383 0.289
H 6.694 37.441 34.957 0.351
H 9.159 38.926 34.823 -0.284
H 7.485 39.615 35.272 0.415
H 8.070 41.413 33.822 0.697
H 9.273 40.733 33.072 0.291
H 9.282 41.354 34.834 -0.011
C 10.099 43.389 37.194 -1.504
C 11.002 43.538 38.431 -0.555
O 12.225 43.982 37.902 -0.125
- - -
• Back to the page:

The black short haired female got up and opened the door, the lights from outside walking in the dark room with only the T.V. on.

"Ew." Was the first thing he said as he observed the now messy room.

5 tubs of different kinds of flavored ice cream, crumbs, plastics from the chips, CDs all over the floor and tissues scattered everywhere.

"Really?" Hange deadpanned with the h/c haired female who's hair was a mess and e/c eyes very red and swollen.

"Yes. 'Ew'. You better clean this damn place before cockroaches starts to come. I don't want those pests here in this room." disgust painting his beautiful face as he told the girls.

"Can't you see we're comforting our beloved Y/n Ackerman?!" She hugged the h/c haired girl a bit too tight.

Levi wanted to hear her name and his surname again but kept quiet with a stoic expression on his face like always.

"You forgot the coma there, Zoe." Sasha told her friend who laughed.

"Oh, sorry Sasha. Ahem. Y/n, Ackerman." She corrected, making Levi dissapointed a bit on the inside.

**What comes next are data records, not part of the piece**
/*
# 1
The following is a DFT calculation (ωB97M-V/def2-TZVPD) of a cluster of 11 separate species, C41H84O17S in total.

The geometry in ORCA input format:
```
! wB97M-V def2-TZVPD RIJCOSX def2/J DEFGRID3
* xyz 0 1
C 2.893 -3.346 0.879
C 2.219 -2.369 1.859
C 3.051 -2.564 3.141
O 3.723 -3.811 2.987
C 4.100 -3.901 1.618
H 3.240 -2.752 0.027
H 2.288 -4.154 0.467
H 1.171 -2.580 2.070
H 2.312 -1.365 1.444
H 2.445 -2.636 4.047
H 3.813 -1.815 3.367
H 4.280 -4.964 1.456
H 4.999 -3.283 1.504
C -5.197 -0.931 3.027
C -3.863 -0.945 2.307
C -3.426 -2.436 2.569
O -4.013 -2.786 3.816
C -4.989 -1.851 4.231
H -6.026 -1.325 2.433
H -5.491 0.094 3.260
H -3.218 -0.147 2.677
H -3.876 -0.789 1.228
H -2.350 -2.531 2.439
H -3.970 -3.032 1.833
H -4.656 -1.286 5.110
H -5.882 -2.409 4.515
C -0.967 -0.136 5.042
C -0.283 -1.286 5.798
C -1.323 -1.538 6.908
O -1.474 -0.190 7.395
C -1.631 0.608 6.228
H -1.771 -0.563 4.441
H -0.252 0.440 4.463
H 0.604 -0.893 6.290
H -0.168 -2.254 5.307
H -0.918 -2.066 7.770
H -2.239 -2.012 6.546
H -1.252 1.608 6.462
H -2.702 0.802 6.083
C 0.579 -0.491 -5.148
C 0.432 0.010 -6.565
C 1.109 1.369 -6.580
O 2.097 1.279 -5.518
C 1.952 0.070 -4.776
H 0.534 -1.579 -5.195
H -0.130 -0.091 -4.419
H -0.611 -0.012 -6.890
H 0.925 -0.687 -7.249
H 0.407 2.164 -6.335
H 1.714 1.490 -7.476
H 2.075 0.222 -3.703
H 2.715 -0.644 -5.109
C -0.765 1.015 -0.029
C -0.839 0.488 -1.507
C -1.787 -0.720 -1.250
O -1.584 -1.169 0.064
C -0.739 -0.266 0.756
H -1.650 1.615 0.215
H 0.059 1.674 0.255
H 0.203 0.263 -1.744
H -1.314 1.131 -2.242
H -1.564 -1.483 -1.996
H -2.821 -0.364 -1.309
H 0.243 -0.754 0.655
H -0.890 -0.226 1.836
C 1.809 2.194 3.481
C 2.691 2.997 2.560
C 2.856 4.318 3.366
O 2.688 3.960 4.746
C 1.649 2.963 4.779
H 2.199 1.208 3.760
H 0.849 1.905 3.043
H 2.104 3.206 1.660
H 3.609 2.557 2.188
H 2.063 5.009 3.077
H 3.866 4.703 3.259
H 0.697 3.499 4.909
H 1.658 2.351 5.683
C 2.376 -3.291 -3.173
C 3.477 -4.304 -2.870
C 2.704 -5.608 -2.795
O 1.551 -5.190 -2.045
C 1.111 -3.926 -2.575
H 2.325 -3.256 -4.265
H 2.696 -2.297 -2.859
H 3.986 -4.227 -1.907
H 4.292 -4.321 -3.599
H 3.282 -6.362 -2.264
H 2.316 -6.031 -3.727
H 0.664 -3.289 -1.814
H 0.376 -4.159 -3.349
C 1.017 4.210 -3.740
C 1.770 5.432 -3.278
C 1.106 5.811 -1.957
O 0.475 4.615 -1.487
C 0.027 3.876 -2.633
H 1.658 3.389 -4.087
H 0.472 4.293 -4.689
H 1.643 6.283 -3.956
H 2.851 5.308 -3.232
H 0.349 6.596 -2.037
H 1.847 6.045 -1.192
H -0.922 4.310 -2.971
H -0.053 2.823 -2.385
O 4.937 -0.014 2.357
S 5.522 0.162 1.051
O 5.760 -0.961 0.171
O 4.672 1.328 0.274
C 4.239 1.100 -1.080
C 3.357 2.292 -1.398
C 7.142 0.944 1.189
H 3.651 0.179 -1.141
H 5.089 0.959 -1.749
H 2.964 2.045 -2.389
H 3.947 3.205 -1.491
H 2.581 2.490 -0.664
H 7.636 0.465 2.026
H 6.990 2.018 1.223
H 7.569 0.648 0.233
C -6.178 -3.708 -2.912
O -5.348 -4.103 -1.820
C -4.044 -3.878 -1.899
O -3.524 -3.102 -2.658
O -3.446 -4.566 -0.929
C -2.189 -4.077 -0.489
H -5.613 -3.752 -3.839
H -6.541 -2.698 -2.713
H -7.038 -4.371 -2.878
H -1.612 -4.915 -0.100
H -2.340 -3.442 0.378
*/

"I'm okay now guys, thank you for comforting me girls." She thanked the girls who smiled and picked up the trash and taking it with them as they leave, not wanting to anger Levi.

The boy sighed as both billionaires heard the door close. Picking up a broom and dustpan, he cleaned the left overs and crumbs before tidying the messy bed.

With him doing all this, she just sat on the chair they put. Not knowing what to do since she has no knowledge about cleaning too.

After putting away the tools of cleaning, he clapped his white gloved hands to get rid of the forming dust that sticked there before grabbing a hair brush.

"You look like shit you idiot." He commented honestly, she pouted, looking at him through the mirror as he brushed her messy hair.


"O-ow! Don't be so rough, Levi!" Kirishima and Kaminari stopped dead on their tracks with Ashido and Uraraka.

"Tch, brat. Stay put or else it'll hurt more!" His muffled voice from the other side is heard.

"Fuck! Ngh!" She groaned.

The 4 people who heard blushed on the outside, clearly getting the wrong idea.

"I-I don't want to burst down in the middle of their..ahem. it isn't manly" Kirishima coughed.

"Aahh...somebody must stop snd give th-them a scolding to not do it a-again." Suttered Mina as she blushed.

"I-I'll do it." Kaminari took the risk and took a deep breathe.

"L-LEVI!!" She shouted.

"G-go on Kaminari! Open the damn door!" Encouraged Uraraka as her cheeks turned pink.

"I have never been so scared in opening a door in my life." He muttered, not bothering to knock and just plainly opened the door.

E/c and grey eyes turned to the shocked, his stick stuck inside her.

"U-uhh..." the 4 was completely speechless.

"What the fuck do you want?" Hissed Levi as he stopped.

"U-uhmm..we were just wondering why sh-she's screaming..." Krisihima scratches the back of his neck.

The hair brush was stuck on her almost smooth h/c hair since there is still a few tangles in it.

"I-never mind. Sorry for disturbing you guys! Bye!" Ashido shut the door rather loud.

Both childhood friends look at each other and shrugged, letting the black haired boy brush her hair softly this time.

"hey, Remember Isabel and Farlan?" She suddenly asked their other childhood friends.

"Hmm? Yeah." He nodded his head.

"If I remember correctly, the last time we saw them was on 5th grade when they moved out (country) to (another country) amd I haven't heard of them since." She smiled and looked at him through the mirror.

"Yeah, the brats were annoying as hell." He rolled his eyes, she jusy chuckled.

"Pfft. Just admit it. You love them."

"I don't." He denied.

"Alright. But I know deep down you miss and love them like I do."

"Shut up."

"Make me."

the new me.// Katsuki Bakugou x reader/ Levi Ackerman x readerWhere stories live. Discover now